Did you manage to discover a secret in a vidya gaem so well hidden, that you can't even find any info about it online?

Did you manage to discover a secret in a vidya gaem so well hidden, that you can't even find any info about it online?

I remember when I was playing harvest moon back to nature as a kid I was autistic enough to keep hitting a single NPC over and over again. Turns out, if you keep hitting any NPC with a tool until your stamina runs out, while the screen fades to black their sprite will turn to bloody mesh for a second.

Other urls found in this thread:


I accessed the infinite or possibly 255 lives glitch in Separation Anxiety before there was an internet to speak of. Does that count?

is this some creepypasta shit or are you for real
vidoe evidence? documentation?


The bloody mesh stuff.

>discover something weird in a game
>think it's an ultra-rare secret
>turns out it was only a bug

who cares post more kot

I found mew under the truck

You can drift cars in Shadow the Hedgehog

i found the extra lives thing by jumping on the polar bear in crash 2 because i enjoyed jumping on his head. nice surprise.

I love jazz!

why does kot have bread?

== Crystal structures, as found in the file ==
+++
Record 1
For Y3Cd, a DFT-relaxed cell (PBE, Alexandria) gives the computed powder diffractogram in this record (copper Kα).
No peak broadening, texture or thermal motion is included.

Crystal structure
```
8
Lattice="5.4539 0.0000 0.0000 0.0000 6.8549 0.0000 0.0000 0.0000 6.2027" Properties=species:S:1:pos:R:3 pbc="T T T"
Y 1.3635 0.0439 0.9795
Y 1.3635 1.7137 3.9273
Y 1.3635 3.3835 0.9795
Y 4.0905 3.4714 5.2232
Y 4.0905 5.1412 2.2754
Y 4.0905 6.8110 5.2232
Cd 1.3635 5.1412 4.1308
Cd 4.0905 1.7137 2.0720
```

Largest 10 diffraction maxima, low angle first, 15 to 90 degrees two-theta:
- 29.78°, I = 34
- 32.84°, I = 41
- 33.23°, I = 67
- 34.11°, I = 100
- 44.92°, I = 21
- 51.63°, I = 20
- 58.88°, I = 12
- 59.45°, I = 19
- 62.55°, I = 22
- 64.42°, I = 18


Record 2
For Sr3Ac3NdTe8, a DFT-relaxed cell (PBE, Alexandria) gives the computed powder diffractogram in this record (copper Kα).
No peak broadening, texture or thermal motion is included.

Crystal structure
```
15
Lattice="4.6982 2.7125 7.7535 -4.6982 2.7125 7.7535 0.0000 -5.4250 7.7535" Properties=species:S:1:pos:R:3 pbc="T T T"
Sr -2.3491 -1.3563 7.7535
Sr -2.3491 1.3562 15.5070
Sr 0.0000 2.7125 7.7535
Ac -4.6982 0.0000 11.6303
Ac -2.3491 1.3562 3.8768
Ac 2.3491 1.3563 3.8768
Nd 0.0000 0.0000 11.6303
Te 0.0000 0.0000 5.8442
Te 0.0000 -2.6378 9.7443
Te -2.2844 1.3189 9.7443
Te -2.2844 -1.3189 13.5163
Te 2.2844 1.3189 9.7443
Te 2.2844 -1.3189 13.5163
Te 0.0000 2.6378 13.5163
Te 0.0000 0.0000 17.4164
```

Largest 10 diffraction maxima, low angle first, 15 to 90 degrees two-theta:
- 22.18°, I = 10
- 26.74°, I = 100
- 38.04°, I = 39
- 38.32°, I = 39
- 47.34°, I = 21
- 55.10°, I = 13
- 62.08°, I = 19
- 62.47°, I = 18
- 69.10°, I = 13
- 87.85°, I = 7


Record 3
For Na2ZrTl2O6, a DFT-relaxed cell (PBE, Alexandria) gives the computed powder diffractogram in this record (copper Kα).
No peak broadening, texture or thermal motion is included.

Crystal structure
```
11
Lattice="2.9604 -4.9671 0.0000 2.9604 4.9671 0.0000 -2.1164 0.0000 5.6596" Properties=species:S:1:pos:R:3 pbc="T T T"
Na 2.9604 3.2153 0.0000
Na 2.9604 -3.2153 0.0000
Zr -1.0582 0.0000 2.8298
Tl 1.9022 1.6347 2.8298
Tl 1.9022 -1.6347 2.8298
O -0.2092 1.5968 4.0286
O 0.7572 0.0000 1.6856
O -0.2092 -1.5968 4.0286
O 4.0136 1.5968 1.6310
O 3.0472 0.0000 3.9740
O 4.0136 -1.5968 1.6310
```

Largest 10 diffraction maxima, low angle first, 15 to 90 degrees two-theta:
- 15.66°, I = 100
- 30.53°, I = 17
- 31.47°, I = 32
- 31.62°, I = 17
- 32.28°, I = 16
- 32.61°, I = 30
- 36.57°, I = 24
- 37.88°, I = 41
- 53.23°, I = 14
- 54.11°, I = 14

* * * * *

K2H2I3: theoretical powder diffractogram (Cu Kα (weighted mean of Kα1 and Kα2)), based on a DFT-relaxed cell (GGA-PBE, Alexandria).
Lines closer than 0.1° are merged.

Atomic structure:
abc: 4.8683 7.2982 9.0447
angles: 69.73 76.89 73.57
Fractional coordinates of all 7 atoms:
K 0.0021 0.2447 0.2530
K 0.9979 0.7553 0.7470
H 0.2594 0.3637 0.7067
H 0.7406 0.6363 0.2933
I 0.3803 0.1783 0.5995
+++


no blini for you

he can't even eat that cuka blyat :D

Don't bully the kot

His name is jazz, not kot


I know, I'm following his instagram

It means “Don’t bully the cat”

name of the account?

Yeah, Ratman passing by the stairs for a frame or two during the ending sequence of Portal 2 in the elevator.

I was playing king's quest, mask of eternity. I was messing around as a kid, trying to hop up the side of this wall and I got up there, to see an endless flat plane. Then I saw an easel with a portrait sitting on it. I got close enough, and it was some person's wedding picture, maybe of one of the developers. Never been able to find the portrait online.


My ex-girlfriend told me about that exact same thing.

I prefer kot to jazz

The secret boss of Parasite Eve has an attack that drops your life to 1, but you can cancel it if you use Liberation while it is charging the attack.
Apparently almost no guide mention this.

you mean this?

Yeah that's the one. I'll need to send this to my mom, she didn't believe me at the time.

I remember finding out something on NES Punch-Out against the reason of Glass Joe that I couldn't find anywhere on the internet

I genuinely think that game still has secrets undiscovered

Yes, but I can't tell you about it. It's a secret.

lol hahaha

autism in it's purist form from op

I found the secret room in the warden's office in Batman Arkham Asylum while messing around, but I found it the day after Rocksteady showed it off.
Nobody believes I found it by being autistic enough to try and blow up every wall.

I believe it

Don't worry user, I also believe you are super autistic.

The police in GTA 4 deploy snipers at high wanted levels

No one else believes me but after turning on the explosive sniper cheat my car kept exploding during chases. I finally noticed blips appearing on rooftops, though I never saw any actual cops.

Also the shotgun shoots slugs at a certain range instead of shot. You only get one larger bullet hole, and it remains super powerful at range


In Shining Force, I once made Yogurt appear at Chapter 7 town. He came down running from the North, stumbled on a few buildings, then ran off again to the south. I've never been able to replicate it or seen it mentioned on the internet.


uhh in pacman 2 you can get pacman to fuck his wife off camera


stop posting kot

I was the user who kept making those running to the edge of Oblivion threads, might find something eventually

are you still at it?

Reached the end last month where my character started melting, I made a thread about alternate dimension Oblivion afterwards as a little addendum to the journey. I'll do another thread/stream soon

what can I search for in the catalog to find it easy when you do make a thread


The Spongebob Squarepants Movie game had some secret costumes that I accidentally found but could never find the codes for. I just mashed buttons on the pause menu and managed to get the ripped pants costume.

What type of cat is that? he's super cute
